Laura Silva Quesada presents…


Thorough positive reprogramming at both the wakeful, alpha frequency and deep, theta hypnotic meditative states, breakthroughs are inevitable!

Hypno-Meditations Include:

• Crystal structures from another source follow:
********
(1)
A PBEsol-optimized structure of SrSb3. Source: the Alexandria database, functional meta-GGA SCAN.

abc: 8.4835 8.4835 8.4835
angles: 29.11 29.11 29.11
Closest atoms and distances in Å follow each position.
Fractional coordinates of all 4 atoms:
Sr  0.0000  0.0000  0.0000  6 Sb 3.35
Sb  0.2399  0.2399  0.2399  3 Sb 3.04, 3 Sr 3.35
Sb  0.5000  0.5000  0.5000  6 Sb 3.04
Sb  0.7601  0.7601  0.7601  3 Sb 3.04, 3 Sr 3.35

As for the final energy: -33.851 eV per atom. The symmetry is No. 166. The calculation puts the uncorrected formation energy at -32.45 kJ/mol of atoms.



(2)
A PBEsol-optimized structure of Be3AlGa. Source: the Alexandria database, functional meta-GGA SCAN.

abc: 4.2120 4.2120 4.2120
angles: 90.00 90.00 90.00
Closest atoms and distances in Å follow each position.
Fractional coordinates of all 5 atoms:
Be  0.0000  0.0000  0.5000  2 Ga 2.11
Be  0.0000  0.5000  0.0000  2 Ga 2.11
Be  0.5000  0.0000  0.0000  2 Ga 2.11
Al  0.5000  0.5000  0.5000  12 Be 2.98
Ga  0.0000  0.0000  0.0000  6 Be 2.11

As for the formation energy: 856 meV/atom. As for the final energy: -6.576 eV per atom. The symmetry is No. 221.



Repeat the first record exactly.
A PBEsol-optimized structure of SrSb3. Source: the Alexandria database, functional meta-GGA SCAN.

abc: 8.4835 8.4835 8.4835
angles: 29.11 29.11 29.11
Closest atoms and distances in Å follow each position.
Fractional coordinates of all 4 atoms:
Sr  0.0000  0.0000  0.0000  6 Sb 3.35
Sb  0.2399  0.2399  0.2399  3 Sb 3.04, 3 Sr 3.35
Sb  0.5000  0.5000  0.5000  6 Sb 3.04
Sb  0.7601  0.7601  0.7601  3 Sb 3.04, 3 Sr 3.35

As for the final energy: -33.851 eV per atom. The symmetry is No. 166. The calculation puts the uncorrected formation energy at -32.45 kJ/mol of atoms.



Repeat the first record exactly.
A PBEsol-optimized structure of SrSb3. Source: the Alexandria database, functional meta-GGA SCAN.

abc: 8.4835 8.4835 8.4835
angles: 29.11 29.11 29.11
Closest atoms and distances in Å follow each position.
Fractional coordinates of all 4 atoms:
Sr  0.0000  0.0000  0.0000  6 Sb 3.35
Sb  0.2399  0.2399  0.2399  3 Sb 3.04, 3 Sr 3.35
Sb  0.5000  0.5000  0.5000  6 Sb 3.04
Sb  0.7601  0.7601  0.7601  3 Sb 3.04, 3 Sr 3.35

As for the final energy: -33.851 eV per atom. The symmetry is No. 166. The calculation puts the uncorrected formation energy at -32.45 kJ/mol of atoms.

* * * * *

[1]
! K3AuI2, optimized geometry, DFT GGA-PBE; values from VASP
&SYSTEM
  ibrav = 0, nat = 12, ntyp = 3
/
ATOMIC_SPECIES
K 39.10 K.upf
Au 196.97 Au.upf
I 126.90 I.upf
ATOMIC_POSITIONS crystal
K 0.0000 0.0000 0.0000
K 0.0000 0.0000 0.3367
K 0.0000 0.0000 0.6633
K 0.5000 0.5000 0.1633
K 0.5000 0.5000 0.5000
K 0.5000 0.5000 0.8367
Au 0.0000 0.0000 0.5000
Au 0.5000 0.5000 0.0000
I 0.0000 0.0000 0.1666
I 0.0000 0.0000 0.8334
I 0.5000 0.5000 0.3334
I 0.5000 0.5000 0.6666
CELL_PARAMETERS angstrom
4.9927 0.0000 0.0000
0.0000 4.9927 0.0000
0.0000 0.0000 21.1562
! - Electronic total energy: -2.68 eV/atom
! - ΔE_f (raw): -1.0686 eV/atom
********

  • Gene Activation Room
  • Habit Management
  • The Healer Within
  • Sleep Book Experience
  • Top of the Mountain
  • BONUS: Collection of 5 short versions



According to the American Society of Clinical Hypnosis (ASCH), the “state of inner absorption, concentration and focused attention” brought on by hypnosis may help us use our minds more powerfully. The feeling of calm and relaxation created by hypnosis opens people up to the power of suggestion, and what better time than when entering sleep does one surrender themselves to the ideal inner states and brain frequencies for deep suggestions to be absorbed and your subconscious to be reprogrammed.

Many people want to reprogram their subconscious, yet wakeful meditations at the alpha frequency don’t quite seem to do the job. What they need is to go very deep within, voluntarily and without resistance.

This is why our longer Hypno-meditations and the shorter reinforcement meditations are ideal. They not only program you at the lighter alpha frequencies, when done before sleep, they also program you in the much deeper theta and delta frequencies where lie the roots of whatever may be ailing you.

And, as a bonus, you get to enjoy a great night’s sleep. Studies show that hypnosis can contribute to 80 percent more time spent in slow-wave sleep (the deep, restorative phase of sleep) and with no adverse side effects.

The shift in consciousness that occurs through mental imagery, suggestions and metaphors, enables you to tap into your natural abilities and allows you to make change more quickly. Practicing meditation is the ultimate act of self-control. Practicing Hypno-meditations allows you to use even more of your innate potential.

#1: Gene Activator Room

Scientific studies on epigenetics show, that there are many possible, future versions of you. It’s up to you to make lifestyle choices that direct your genes toward fat burning, muscle building, longevity and wellness. It is within your power to think, believe, do and live in a way that promotes health and wellbeing.

This Hypno-meditation reinforces six actions that encourage positive thinking, a focus on resourceful beliefs, improved sleeping habits, healthy nutritional practices, freedom from emotional trauma and positive gene expression. The very things that will help you in deciding which version of you to become.

#2: Habit Management

Many habits are formed by choices we make early in life. Once a practice, behaviour or attitude is started, repeated and reinforced through time, a pattern forms and a habit is established. Habits are deeply programmed patterns that are entwined with built-in false rewards. In this exercise, you will experience a sort of age regression where you can become aware of moments in your life where, depending on what was going on, you made certain choices that resulted in undesirable patterns. As you continue to regress, you become fully aware that you have always been in control of your life choices and living experience. You then become aware that you have a new opportunity to take charge of your life once again and live better and healthier.

#3: The Healer Within

This deep meditative experience is designed to address and assist the many layers of the healing process. As you fully engage your mental senses, you will first experience a peaceful, visual experience that takes you to a quaint seaside village. This will help you to relax and deepen your inner state even more. At some point in the exercise, you will come to a local theatre where you will see a movie of your life that allows you to assess your life and lifestyle practices, encouraging you to make healthier life choices. Leaving the theatre more hopeful, you come across a miraculous healer by the shore who is awaiting to heal every layer of your being.

#4: Sleep Book Experience

A healthy body requires healthy sleep. This deep meditative sleep experience is sure to take you into deep, healthy, and restful sleep. As with all Hypno-meditations, it incorporates deep physical and mental relaxation along with an extensive and engaging visual/subjective experience. This sleep experience also uses countdowns and an imaginary Sleep Book. All these levels of compounded deepening will kick off the sleep cycle and take you into the different stages of healthy sleep. This allows your body, brain and mind to relearn how to enter sleep in a normal, healthy manner and without the use of drugs or alcohol.

#5: Top of the Mountain

Metaphors have been known to be effective in reprogramming your subconscious mind. The meditative experience incorporates a success strategy that will bring you to acknowledge the many resources you possess and have allowed you to succeed even in the most challenging of times. As you journey to the top of the mountain, you also become aware of and grateful for all the things that contribute to your successes. Once at the top of the mountain, you are able to see forever into your past with gratitude and appreciation, and together with the wisdom of the “Future You,” you will create the future you choose to live.

Bonus collection of shorter versions

The shorter versions of the Hypno-meditations are designed to reinforce what has been programmed with the Hypno-meditations as you enter sleep. They may be done anytime throughout the day or night. They last approximately 20-25 minutes and are effective as stand alone meditations.

How to use Hypno-Meditations

Hypno-meditations can last anywhere from 45 minutes to an hour. They take you to deep inner states and are designed to be done at night as you prepare to enter sleep. This will help your brain slow down to theta frequencies and your subconscious mind to be reprogramed with positivity. It is always recommended that all meditations be done in a safe environment and never while driving or operating heavy machinery. It is also recommended that you listen to the meditation with eyes open first before doing them with eyes closed. This will help insure that you are fully aware of its contents and there will be no surprises.

Here's What You Get When You Order Hypno-Meditations!

Hypno-Meditations Include:

  • Gene Activation Room
  • Habit Management
  • The Healer Within
  • Sleep Book Experience
  • Top of the Mountain
  • BONUS: Collection of 5 short versions
